**Given:**
# 1
The following is a DFT calculation (GGA+U) of LiCoSiO4 after structural relaxation.

Calculated values
- space group = Pca2_1, No. 29
- total magnetization (μB per cell) = 32.0
- final energy (eV for the cell shown) = -369.19

Cell and atoms, written as CIF:
```
data_LiCoSiO4
_cell_length_a 5.092
_cell_length_b 10.214
_cell_length_c 13.384
_cell_angle_alpha 90.00
_cell_angle_beta 90.00
_cell_angle_gamma 90.00
_space_group_name_H-M_alt 'P 1'
_space_group_IT_number 1
loop_
_space_group_symop_operation_xyz
'x,y,z'
loop_
_atom_site_label
_atom_site_type_symbol
_atom_site_fract_x
_atom_site_fract_y
_atom_site_fract_z
Li1 Li 0.914 0.034 0.497
Li2 Li 0.557 0.215 0.250
Li3 Li 0.557 0.285 0.750
Li4 Li 0.914 0.466 0.997
Li5 Li 0.086 0.534 0.497
Li6 Li 0.443 0.715 0.250
Li7 Li 0.443 0.785 0.750
Li8 Li 0.086 0.966 0.997
Co1 Co 0.067 0.039 0.247
Co2 Co 0.556 0.214 0.000
Co3 Co 0.556 0.286 0.500
Co4 Co 0.067 0.461 0.747
Co5 Co 0.933 0.539 0.247
Co6 Co 0.444 0.714 0.000
Co7 Co 0.444 0.786 0.500
Co8 Co 0.933 0.961 0.747
Si1 Si 0.432 0.034 0.625
Si2 Si 0.054 0.214 0.871
Si3 Si 0.054 0.286 0.371
Si4 Si 0.432 0.466 0.125
Si5 Si 0.568 0.534 0.625
Si6 Si 0.946 0.714 0.871
Si7 Si 0.946 0.786 0.371
Si8 Si 0.568 0.966 0.125
O1 O 0.887 0.994 0.130
O2 O 0.551 0.959 0.526
O3 O 0.429 0.032 0.224
O4 O 0.995 0.056 0.864
O5 O 0.497 0.191 0.618
O6 O 0.897 0.229 0.470
O7 O 0.944 0.290 0.771
O8 O 0.370 0.244 0.881
O9 O 0.370 0.256 0.381
O10 O 0.944 0.210 0.271
O11 O 0.897 0.271 0.970
O12 O 0.497 0.309 0.118
O13 O 0.995 0.444 0.364
O14 O 0.429 0.468 0.724
O15 O 0.551 0.541 0.026
O16 O 0.887 0.506 0.630
O17 O 0.113 0.494 0.130
O18 O 0.449 0.459 0.526
O19 O 0.571 0.532 0.224
O20 O 0.005 0.556 0.864
O21 O 0.503 0.691 0.618
O22 O 0.103 0.729 0.470
O23 O 0.056 0.790 0.771
O24 O 0.630 0.744 0.881
O25 O 0.630 0.756 0.381
O26 O 0.056 0.710 0.271
O27 O 0.103 0.771 0.970
O28 O 0.503 0.809 0.118
O29 O 0.005 0.944 0.364
O30 O 0.571 0.968 0.724
O31 O 0.449 0.041 0.026
O32 O 0.113 0.006 0.630
```

=====

# 2
The following is a DFT calculation (GGA+U) of Li2Co2Si3O9 after structural relaxation.

Calculated values
- space group = Pnma, No. 62
- total magnetization (μB per cell) = 24.0
- final energy (eV for the cell shown) = -441.78

Cell and atoms, written as CIF:
```
data_Li2Co2Si3O9
_cell_length_a 7.120
_cell_length_b 10.076
_cell_length_c 12.539
_cell_angle_alpha 90.00
_cell_angle_beta 90.00
_cell_angle_gamma 90.00
_space_group_name_H-M_alt 'P 1'
_space_group_IT_number 1
loop_
_space_group_symop_operation_xyz
'x,y,z'
loop_
_atom_site_label
_atom_site_type_symbol
_atom_site_fract_x
_atom_site_fract_y
_atom_site_fract_z
Li1 Li 0.563 0.515 0.160
Li2 Li 0.563 0.985 0.160
Li3 Li 0.063 0.015 0.340
Li4 Li 0.063 0.485 0.340
Li5 Li 0.937 0.515 0.660
Li6 Li 0.937 0.985 0.660
Li7 Li 0.437 0.015 0.840
Li8 Li 0.437 0.485 0.840
Co1 Co 0.116 0.565 0.088
Co2 Co 0.116 0.935 0.088
Co3 Co 0.616 0.065 0.412
Co4 Co 0.616 0.435 0.412
Co5 Co 0.384 0.565 0.588
Co6 Co 0.384 0.935 0.588
Co7 Co 0.884 0.065 0.912
Co8 Co 0.884 0.435 0.912
Si1 Si 0.457 0.750 0.027
Si2 Si 0.144 0.250 0.060
Si3 Si 0.469 0.250 0.215
Si4 Si 0.969 0.750 0.285
Si5 Si 0.644 0.750 0.440
Si6 Si 0.957 0.250 0.473
Si7 Si 0.043 0.750 0.527
Si8 Si 0.356 0.250 0.560
Si9 Si 0.031 0.250 0.715
Si10 Si 0.531 0.750 0.785
Si11 Si 0.856 0.750 0.940
Si12 Si 0.543 0.250 0.973
O1 O 0.690 0.750 0.034
O2 O 0.020 0.116 0.046
O3 O 0.020 0.384 0.046
O4 O 0.382 0.613 0.082
O5 O 0.382 0.887 0.082
O6 O 0.593 0.250 0.102
O7 O 0.014 0.610 0.226
O8 O 0.014 0.890 0.226
O9 O 0.244 0.250 0.179
O10 O 0.744 0.750 0.321
O11 O 0.514 0.110 0.274
O12 O 0.514 0.390 0.274
O13 O 0.093 0.750 0.398
O14 O 0.882 0.113 0.418
O15 O 0.882 0.387 0.418
O16 O 0.520 0.616 0.454
O17 O 0.520 0.884 0.454
O18 O 0.190 0.250 0.466
O19 O 0.810 0.750 0.534
O20 O 0.480 0.116 0.546
O21 O 0.480 0.384 0.546
O22 O 0.118 0.613 0.582
O23 O 0.118 0.887 0.582
O24 O 0.907 0.250 0.602
O25 O 0.486 0.610 0.726
O26 O 0.486 0.890 0.726
O27 O 0.256 0.250 0.679
O28 O 0.756 0.750 0.821

**Wanted:**
Your job: restate only the lines above with the word "Si8" in them.

**Result:**
Si8 Si 0.568 0.966 0.125
Si8 Si 0.356 0.250 0.560